Fidget Spinners: What You Need to Know
You’ve probably heard about the latest toy craze: the fidget spinner. It’s everywhere, and both young and old have fallen in love with this trending toy. If you missed the memo, here’s a quick description:
What is a Fidget Spinner?
A fidget spinner is a funky-shaped plastic toy with a bearing at the center and two or three prongs that spin. Despite its simplicity, it has captured the world’s attention, and manufacturers are struggling to keep up with demand.
But what makes this toy so popular? And as a parent, what do you need to know about fidget spinners?
1. It’s Addictive
One reason for the fidget spinner’s popularity in the US and UK is its addictive nature. The sensation of spinning the toy, with its various forces undulating in your hands, is captivating. The real fun comes from trying out different stunts and tricks, engaging both young and old minds.
While it can be a distraction for children and potentially affect academics, it can also keep a child busy when needed.
2. Are There Any Health Benefits?
This is a major point of discussion, and opinions are divided.
- Sensory Stimulation: Manufacturers claim fidget spinners help children and adults with sensory processing issues, attention deficits, and anxiety. The tricks and spins provide sensory stimulation for those with specific mental issues.
- Calming Effect: They can soothe children with sensory issues, providing calming stimulation.
- Medical Skepticism: Many medical practitioners are wary of attributing health benefits to fidget spinners. They weren’t designed as medical aids and are not FDA-approved. Doctors are generally skeptical about prescribing them as medical therapy.
3. Safe to Use or Dangerous?
Safety is a concern with any toy that has fast-spinning parts. Some accidents have been linked to fidget spinners, making it important to weigh the pros and cons before buying one.
Metal Fidget Spinners
As a parent, it can be hard to overlook a toy that’s so popular. It’s even tougher if your child is the only one without it in their class. However, consider the risks and benefits before making a decision.
This article outlines the key points to help you decide whether to get a fidget spinner for your child. Review the information and let it guide your decision.
What comes next are records of molecules, not part of the entry =
=====
No. 1
Entry from the Open Molecules 2025 dataset: a 11-piece molecular cluster, C30H41F6N12O overall in a non-equilibrium geometry (the ωB97M-V functional and the def2-TZVPD basis).

```
! RIJCOSX wB97M-V def2-TZVPD def2/J DEFGRID3
* xyz 1 1
O 0.6097 1.8422 2.8246
C -0.2929 1.4463 1.8098
C 0.3609 0.2052 1.0555
C 0.3535 0.3689 -0.5111
N 0.7032 1.5753 -0.9932
N 0.6871 1.8114 -2.2831
C 0.3556 0.7974 -3.0448
C -0.0381 -0.5529 -2.7117
C -0.0267 -0.7938 -1.2680
C -0.3820 -2.1773 -0.7068
C 0.7235 -3.2416 -1.0760
C 1.8750 -3.2662 -0.0512
F 2.7552 -4.2424 -0.3743
F 1.3920 -3.5942 1.1769
F 2.4878 -2.0627 0.0353
C -1.6284 1.0131 2.5370
F -2.3050 2.1875 2.7609
F -2.4434 0.2705 1.7364
F -1.4295 0.4521 3.7330
H 0.9047 1.0048 3.2262
H -0.5869 2.2637 1.1264
H 1.4196 0.0802 1.3794
H -0.2202 -0.6741 1.3872
H 0.9958 2.3603 -0.3854
H 0.3826 1.0136 -4.1327
H -0.2942 -1.3399 -3.4420
H -0.6579 -2.2032 0.3624
H -1.2904 -2.5139 -1.2658
H 1.1028 -3.0965 -2.1111
H 0.2451 -4.2485 -1.0635
C -5.0904 0.4873 3.2331
C -6.3924 0.2483 2.5785
N -7.4001 0.0627 2.0694
H -4.9556 -0.2121 4.0579
H -4.2864 0.3494 2.5150
H -5.0516 1.5048 3.6204
C 1.7977 4.9405 -5.1533
C 2.1014 3.5077 -5.3441
N 2.3378 2.3981 -5.4966
H 1.4256 5.1081 -4.1441
H 2.6992 5.5326 -5.3044
H 1.0398 5.2557 -5.8687
C -0.7022 -2.0787 -7.0438
C -1.4739 -2.3846 -5.8212
N -2.0719 -2.6248 -4.8738
H -0.6170 -2.9730 -7.6594
H -1.2070 -1.3000 -7.6136
H 0.2959 -1.7343 -6.7754
C 1.7770 5.7794 -0.8468
C 1.5430 4.6927 0.1262
N 1.3611 3.8474 0.8825
H 2.8472 5.9391 -0.9699
H 1.3428 5.5140 -1.8079
H 1.3207 6.6951 -0.4929
C -0.2223 9.9019 -0.8966
C 0.6017 8.9075 -1.6128
N 1.2410 8.1384 -2.1701
H -0.6113 9.4666 0.0232
H 0.3824 10.7736 -0.6509
H -1.0559 10.2114 -1.5252
C -3.3330 2.1530 -0.8920
C -2.7906 2.9621 -2.0027
N -2.3701 3.5868 -2.8643
H -2.5190 1.6427 -0.3790
H -3.8527 2.7959 -0.1825
H -4.0316 1.4112 -1.2774
C -8.3416 -2.3109 3.8883
C -9.1596 -2.7344 5.0436
N -9.7929 -3.0616 5.9383
H -8.2160 -3.1447 3.1988
H -8.8307 -1.4906 3.3682
H -7.3623 -1.9811 4.2302
C 2.2101 -0.0369 6.3629
C 1.9771 -0.7839 5.1102
N 1.7975 -1.3635 4.1383
H 2.7633 0.8770 6.1504
H 1.2565 0.2211 6.8215
H 2.7853 -0.6492 7.0559
C 4.3497 -5.5155 2.6541
C 4.6899 -6.9292 2.3996
N 4.9545 -8.0239 2.1990
H 3.9441 -5.4066 3.6590
H 5.2421 -4.8980 2.5615
H 3.6075 -5.1789 1.9323
C 6.8760 -9.0573 -0.5919
C 7.3866 -8.2856 -1.7435
N 7.7816 -7.6858 -2.6344
H 7.7041 -9.5302 -0.0661
H 6.3513 -8.3949 0.0946
H 6.1881 -9.8273 -0.9379
*
```

Results
Orbital gap   8.1 eV
HOMO energy   -12.67 eV

***

No. 2
Entry from the Open Molecules 2025 dataset: C30H41INbO24 as an isolated structure in a non-equilibrium geometry (the ωB97M-V functional and the def2-TZVPD basis).

```
! RIJCOSX wB97M-V def2-TZVPD def2/J DEFGRID3
* xyz -1 1
I 0.9383 -2.1032 1.9675
Nb 0.7105 -3.7358 -0.3235
C 2.6692 -3.0163 -1.2332
C 2.5813 -2.1262 -2.5141
C 3.8750 -1.6242 -3.1979
C 5.2478 -2.0428 -2.5643
C 5.3474 -2.9185 -1.2748
C 4.0492 -3.4225 -0.5796
H 1.6873 -5.0468 0.5376
H -0.8222 -4.5416 0.3018
=====
End of the records of molecules =
Sharing is Caring: Don’t forget to share this article with your friends. You could help someone make an informed decision.

As a parent, it could be difficult to overlook a toy half the neighborhood are going on and on about. It could get even harder if your kid is the only one without the toy in his/her class. But, you have to weigh the pros against the cons before making a decision to buy one of those toys off the shelf.
And this article has laid all bare for you to see. Go through it again and let it guide you to making a decision as to whether to get a fidget spinner for your ward or not.
Sharing is caring. Don’t forget to share this article with your friends after reading. You can help a friend by doing so.